Tournaments are back: Late summer beach fun!
First outdoor tournament of the year, finally! The wait was eventually over and Ted Beute and Sjoerd Druiven took the initiative to organise a one-day-tourney for the Dutch Ultimate beach lovers out there (Voordethuisblijvers, Hargen edition). Of course you don´t have to tell use twice so our DDT beach outfit made its way down to Holland´s West Coast to Ijmuiden to quench our thirst for reconnecting with the Dutch Ultimate scene.
On an unexpected fair, sunny hot summer day, our first match took us to play against Pinguins, a team of senior beach regulars. So we didn´t have to feel too bad to get crushed by them, having to get used to our pickup players, the short stall count, and the specific Corona-induced extra rules such as a one meter ´disc´ space. We were not much better off against Splish Splash, a youthful group of high level players enjoying a casual layout. At this point we already started to see what we could improve, so the next match against a mixed Force Elektro team showed exactly that. In the end, we only narrowly missed to take the win (8-9).
The bracket games in the afternoon left us facing our friends from Eindhoven, Vertigo, which was tight and balanced most of the game, we could improve bit by bit and eventually won that encounter. Point to mention was a former DDT player´s effort who rested the whole tournament until the moment, where we came out to run all the way to the endzone, and get a layout score!
Next up was ´Olé Olé Kaassoufflé´, a high level women´s team. Another exciting game where we got suprised with excellent fighting spirit, a variety of tactics, a highly dynamic game and great spirit. They took the win with 8:4 leaving us to fight for 11th place! Which was a chance of revenge against Force Elektro. At this time of the day, we were drained of most of our power, the sand and sun came in heavy, and despite of our improved communication and understanding, we could not give them the fight we had hoped for. Alone the last point had a feel of 5 turnovers and not much less chances to score, so Force Elektro took it home with 9-5 and left us with 12th place overall.
A final dip in the pleasently tempered North Sea and a final visit to the local Asian restaurant with a refreshing beer left us getting excited for the autumn Mixed season and another one-dayer at the beach…
… so, 4 weeks later, more beach! In honour of the cancelled Monsterball tournament, not in Monster, or Kijkduin, nor IJmuiden, but Zandvoort. Well, until the authorities intervened and forced us to move 2km up North to our final destination of Bloemendaal aan Zee. This time with a more full DDT squad and Amsterdam resident Timo which was dragged out of retirement to help us out. Beach? Plenty, but so was their wind. And the letter kept us busy for the first two games and longer.
Between two parts of the piece: quantum chemistry results >
<<<
10
Properties=species:S:1:pos:R:3:forces:R:3 method="wB97M-V/def2-TZVPD" charge=-1 e_above_lowest_kcal_mol=99.0 e_lumo_ev=4.7 total_energy_ha=-209.61983 mol_weight_g_mol=60.08
C -1.152018 -0.178312 -0.101431 -1.55 1.58 -0.68
O -1.837599 -1.056598 -0.850388 1.68 0.33 0.34
C 0.448018 -0.352536 0.029055 0.15 -3.03 -5.73
N 1.786991 0.498278 0.398202 -1.63 0.26 2.39
H -1.085937 0.890098 -0.520262 -0.50 -0.29 0.02
H -1.667903 -0.036202 0.832741 0.04 0.10 1.50
H 0.552527 -0.205696 -1.082587 -0.06 -1.26 0.96
H 0.655541 0.367794 0.911698 1.95 2.12 1.87
H 0.765388 -1.315932 0.369083 -0.25 -0.85 -0.12
H 1.534994 1.389106 0.013887 0.17 1.04 -0.56


Entry 1:
ORCA calculation (ωB97M-V/def2-TZVPD) on a molecular structure, C48H73CoN3P2SSbSi.

The geometry in XYZ format:
```
130
C48H73CoN3P2SSbSi | OMol25 | ωB97M-V/def2-TZVPD
Co 0.46985 -0.88056 -1.38087
C 4.13654 -0.95850 -1.64729
Si 2.61060 -0.78042 -0.54334
C 2.80780 -2.08814 0.82846
C 3.89451 -2.96416 0.80245
C 4.10861 -3.89168 1.81199
C 3.24615 -3.93582 2.89486
C 2.16447 -3.06923 2.94576
C 1.91111 -2.16748 1.91221
P 0.45793 -1.03581 1.88389
C 0.62049 -0.18500 3.53616
C 2.04699 0.27521 3.83848
C 2.15918 0.72784 5.30004
C 0.89788 1.47190 5.77017
C 0.19756 2.11594 4.57968
C -0.33000 1.02968 3.63336
C -1.07184 -2.08341 2.11955
C -1.30370 -2.87306 3.42914
C -2.29218 -2.17511 4.36063
C -3.68459 -2.07170 3.72508
C -3.59629 -1.89223 2.20102
C -2.29606 -1.19248 1.81876
C 2.88529 0.82987 0.39742
C 4.06731 1.07580 1.09520
C 4.24231 2.24470 1.81717
C 3.20931 3.16936 1.86785
C 2.02751 2.93969 1.17747
C 1.85880 1.77654 0.42239
P 0.53042 1.46320 -0.82759
C 1.20569 2.75767 -2.04574
C 0.98932 4.23890 -1.67598
C -0.22429 4.89318 -2.33154
C -0.17918 4.75105 -3.84729
C -0.13123 3.27498 -4.22094
C 1.06020 2.57972 -3.56593
C -1.10508 1.96743 -0.10656
C -1.27590 3.21299 0.77033
C -2.62601 3.14673 1.51321
C -3.71404 2.43413 0.69859
C -3.47103 2.66610 -0.78576
C -2.17673 1.96286 -1.21421
H 5.03272 -0.77426 -1.05021
H 4.24363 -1.94717 -2.09861
H 4.12404 -0.21755 -2.44875
H 4.59633 -2.92638 -0.02127
H 4.95673 -4.56245 1.76316
H 3.41853 -4.63298 3.70442
H 1.52875 -3.09416 3.81790
H 0.34092 -0.92553 4.29582
H 2.77604 -0.50954 3.63821
H 2.29350 1.10271 3.17417
H 2.33772 -0.13861 5.94147
H 3.03426 1.37430 5.40062
H 0.20356 0.77335 6.24763
H 1.15289 2.21550 6.52585
H -0.62821 2.75178 4.90471
H 0.90459 2.76378 4.05226
H -1.31147 0.70449 3.98796
H -0.48000 1.45183 2.63746
H -0.99618 -2.80143 1.29702
H -1.70425 -3.86006 3.17518
H -0.37530 -3.06155 3.95899
H -2.34982 -2.71320 5.30799
H -1.91795 -1.17728 4.60241
H -4.26504 -2.96748 3.95341
H -4.22394 -1.23195 4.16782
H -3.63832 -2.86581 1.70619
H -4.45727 -1.32721 1.83694
H -2.28888 -0.91016 0.76216
H -2.23035 -0.25072 2.37279
H 4.85887 0.33414 1.08629
H 5.16545 2.42726 2.35151
H 3.32065 4.08087 2.44085
H 1.26396 3.69803 1.23401
H 2.26123 2.54152 -1.84799
H 0.95048 4.37982 -0.59996
H 1.87957 4.78072 -2.01491
H -1.15101 4.44724 -1.95892
H -0.25331 5.94728 -2.04788
H -1.04440 5.23418 -4.30458
>>>
However, after the move to Bloemendaal, the sun was more and more a welcome companion on the playing fields. Still in the end, we were happy to have played: X-men, which at times, we could give a fair fight, Force Elektro which we let slip twice to take away a win, Splish Splash where we really had to work hard to get some plays going, and UTKA from which we could get a final win to become 7th. That’s good bye from us to the beach for this year, hope to be back soon!